## What to do
Say how many lines of the calculation results further down hold the word "and", as a bare number.

## Source
<<<
Theoretical X-ray powder pattern
Compound: KNa2PaF8
Radiation: Cu Kα
Structure: a structure optimized by DFT (GGA-PBE)
No peak broadening, texture or thermal motion is included.

The 12 most intense peaks (2θ = 15–90°), in order of falling intensity:
d/Å	Rel. int.
4.284	100
4.929	77
3.254	65
2.846	34
2.379	32
2.142	28
1.711	21
1.821	20
2.027	18
1.984	18
4.333	16
2.370	15

Atomic structure:
Cell: 5.691 5.691 8.667 Å, 90.00 90.00 120.00°
Fractional positions:
K: 0.000 0.000 0.000
Na: 0.333 0.667 0.169
Na: 0.667 0.333 0.831
Pa: 0.000 0.000 0.500
F: 0.166 0.332 0.347
F: 0.166 0.834 0.347
F: 0.332 0.166 0.653
F: 0.333 0.667 0.927
F: 0.667 0.333 0.073
F: 0.668 0.834 0.347
F: 0.834 0.166 0.653
F: 0.834 0.668 0.653

=====

Record 1
The following is a simulated powder X-ray diffraction pattern of Rb3LuP2O8. It was derived from a PBE-relaxed structure, using a wavelength of 1.5418 Å.

Top 8 peaks for 2θ = 10–80°, in order of rising 2θ:
2θ 10.66, d = 8.296 Å, intensity 17
2θ 18.10, d = 4.900 Å, intensity 17
2θ 21.06, d = 4.219 Å, intensity 18
2θ 28.19, d = 3.166 Å, intensity 100
2θ 31.63, d = 2.829 Å, intensity 67
2θ 42.87, d = 2.110 Å, intensity 35
2θ 54.24, d = 1.691 Å, intensity 30
2θ 54.89, d = 1.673 Å, intensity 24

Cell and atoms:
Cell lengths 5.6580, 5.6580, 8.2964 Å; angles 90.00, 90.00, 120.00 degrees
Element x y z (fractional)
Rb1 0.0000 0.0000 0.0000
Rb2 0.3333 0.6667 0.7596
Rb3 0.6667 0.3333 0.2404
Lu1 0.0000 0.0000 0.5000
P1 0.3333 0.6667 0.2838
P2 0.6667 0.3333 0.7162
O1 0.1830 0.3660 0.3479
O2 0.1830 0.8170 0.3479
O3 0.3333 0.6667 0.0994
O4 0.3660 0.1830 0.6521
O5 0.6340 0.8170 0.3479
O6 0.6667 0.3333 0.9006
O7 0.8170 0.1830 0.6521
O8 0.8170 0.6340 0.6521

---

Record 2
The following is a simulated powder X-ray diffraction pattern of CaH16O10. It was derived from a PBE-relaxed structure, using a wavelength of 1.5418 Å.

Top 8 peaks for 2θ = 10–80°, in order of rising 2θ:
2θ 15.00, d = 5.906 Å, intensity 58
2θ 16.06, d = 5.519 Å, intensity 100
2θ 24.89, d = 3.577 Å, intensity 61
2θ 26.05, d = 3.420 Å, intensity 44
2θ 30.45, d = 2.935 Å, intensity 54
2θ 30.95, d = 2.890 Å, intensity 57
2θ 32.45, d = 2.759 Å, intensity 48
2θ 33.79, d = 2.653 Å, intensity 47

Cell and atoms:
Cell lengths 5.9146, 6.9587, 11.0495 Å; angles 89.59, 87.38, 88.97 degrees
Element x y z (fractional)
Ca1 0.0000 0.0000 0.0000
Ca2 0.0125 0.9340 0.5198
H1 0.0210 0.2548 0.3650
H2 0.0355 0.3616 0.0921
H3 0.0376 0.5601 0.3768
H4 0.1044 0.3201 0.7909
H5 0.1438 0.7188 0.2924
H6 0.2365 0.6226 0.1125
H7 0.2674 0.3539 0.8999
H8 0.2729 0.1095 0.2215
H9 0.2944 0.3996 0.6146
H10 0.3248 0.2210 0.4056
H11 0.3313 0.8631 0.7122
H12 0.3528 0.2544 0.1134
H13 0.3562 0.5561 0.4408
H14 0.3668 0.7319 0.9054
H15 0.4575 0.9442 0.8796
H16 0.4944 0.9742 0.6208
H17 0.5195 0.9690 0.3867
H18 0.5362 0.9790 0.1175
H19 0.6276 0.5533 0.9675
H20 0.6292 0.7632 0.3936
H21 0.6309 0.2229 0.8955
H22 0.6446 0.2265 0.6146
H23 0.7021 0.9002 0.2121
H24 0.7069 0.1063 0.7721
H25 0.7073 0.6466 0.6332
H26 0.7708 0.3565 0.4050
H27 0.8476 0.3272 0.1914
H28 0.8625 0.6846 0.8066
H29 0.9573 0.5421 0.6485
H30 0.9635 0.6607 0.1339
H31 0.9643 0.2712 0.6413
H32 0.9659 0.5452 0.9017
O1 0.0739 0.3727 0.6594
O2 0.1052 0.7298 0.1393
O3 0.1213 0.2968 0.8831
O4 0.1328 0.6790 0.3807
O5 0.2352 0.1127 0.3793
O6 0.3040 0.1152 0.1309
O7 0.3206 0.8614 0.8756
O8 0.3506 0.8981 0.6252
O9 0.3864 0.4742 0.0881
O10 0.4678 0.4431 0.5928
O11 0.4714 0.5026 0.9617
O12 0.4784 0.4590 0.4599
O13 0.6680 0.8982 0.3797
O14 0.6810 0.0952 0.8666
O15 0.6838 0.9064 0.1240
O16 0.7371 0.1107 0.6326
O17 0.8646 0.6814 0.6461
O18 0.8750 0.6658 0.8960
O19 0.8777 0.3212 0.1026
O20 0.9037 0.3621 0.3488

---

Record 3
The following is a simulated powder X-ray diffraction pattern of Er2NiAs2. It was derived from a PBE-relaxed structure, using a wavelength of 1.5418 Å.

Top 8 peaks for 2θ = 10–80°, in order of rising 2θ:
2θ 26.09, d = 3.415 Å, intensity 29
2θ 31.71, d = 2.822 Å, intensity 100
2θ 35.98, d = 2.496 Å, intensity 58
>>>

## Completed
2